Dementor's Kiss

"Are you okay? The dementors were on the train. And one of them attacked Harry, Thankfully the DADA professor was there to find them off"

Lucien squinted "That fucking Potter, where is his cabin?"

Ginevra looked a little confused by the Sudden change in Lucien's attitude

"I'll take you, but, be warned my brother is in the cabin as well"

"Like I care, you should worry about your own well being when he sees us together"

"Like I care" Ginevra smile and grabbed Lucien by the arm "Come on then"

Ginevra led the way

"Haha bold and beautiful"

Some ways down the main corridor Ginevra and Lucien appeared in front of a cabin with a shaken Harry inside, along with the Weasley boy, Lavender Brown and Parvati Patil. Ginevra opened and the cabin looked at the doorway with a little shock

"Get your hands of my sister, you bloody..." Lucien waved his wand, casting a charm to shut Ron up

"Sit down and calm down before I knock your ass unconscious. Besides, her hands are on me obviously." Lucien Looked at the rest of the cabin with scrutinizing eyes.

There was a sent in the cabin that didn't belong to the students and smelled like a fowl variation of a pure-blooded wolf, Yet similar to Greyback.

"Interesting... Hello Lavender" She smiled back and said her hellos

Lucien looked over at Patil, however something was different about Patil this year

"Patil, are your eyes okay?"

Patil fiend confusion but, Lucien could see the shock and mild fright in her eyes

"My eyes are perfectly fine, now what do you want?"

"Hmm always so unwelcoming, no wonder Potter's the only one that likes you"

Lucien felt the desire to be petty.

"I mean its only right, Lavender marries Ron and her best friend marries his. Big happy family, right?"

Patil was a little embarrassed, along with the two boys, the only people as bold as Lucien were Lavender and Ginevra, they simply laughed it off

"Leave her alone Dubois"

Obviously, Harry stood up and spoke, Ron didn't have the gall. And it wasn't the Silencing charm that held him back. Truth be told Ron never even attempted to stand up from his seat.

"How strong you could become, if you weren't so easily molded by the whims of other, truly a waste" Lucien released a sigh

"Sit down Potter, you've properly defended her honor, Now Can you please tell me what happened with the dementors. And no this is not me making fun of you"

Everyone's eyes went deep with fear at the mention of the dementors. And Harry began to recount the event. Lucien took his seat in the cabin and quietly listened.

"That's all that happened?" Lucien asked

"Yes, that's all."

"And what did the new professor say? Before he casted that charm to push it away"


Lucien got up and walked to the door

"Potter, try not to die this year"

Lucien exited the cabin, followed by Ginevra

"Bye, Harry"

Lucien and Ginevra left the cabin, Lucien put his hunting expedition on hold, he had a feeling that if Sirius was a stow away. Then they'll run into each other at Hogwarts sooner or later.

On the way back to Ginevra's cabin, she and Lucien talked about her wellbeing. Mostly how she was faring after the chamber of secrets incident.

Dropping Ginevra off at her cabin, Lucien stepped off toward Ravenclaw. Something was gnawing at him and he wanted to end his annoyance.

*Knock* *Knock*

After a moment, the cabin opened. It was full of Ravenclaw women. Lucien looked around and his eyes fell on the girl in the furthest corner up against the window

"Padma Patil, Can I have a moment of you time?"

In the main corridor, Lucien pulled out a bundle of sage and ignited it.

"What are you doing Dubois?"

"Protection against eavesdroppers."

Padma tilted her to the side

"Its just a precaution. I have a couple of questions" Lucien knew people were watching, though they couldn't hear. So, to figure out what was different about the Patil twins this year, Lucien didn't mind

inciting a few rumors.

Taking few steps forward, Lucien snaked his arm around Padma's waist and pulled her close, taken her by surprise. Lucien had no idea how to control his Veela abilities, and according to Mr.Ollivander it would be close to impossible until he was 15/16 years old.

Invoking the emotions, he had with Jenna back in Mystic falls, Lucien directed all of that towards Padma. Hitting her like a freight train, Padma could be seen visibly trembling.

Lucien held her steady in his arms

"I'm new, with these kinds of things… But...I was wondering if," Lucien took a brief pause

"Lucien Bennet-Dubois, with a mind that puts Ravenclaw's to shame. I've never seen you struggle to speak your mind. I can't help but think it's my fault" Padma wrapped arms around Lucien in return

"Haha of course it's your fault, Love. Don't beautiful woman make all men nervous"

Padma looked away with a smile on her face

"This year, we're allowed to go to Hogsmeade, And I want to know if you'll like to go with me, when the time comes"

"Lucien, are you asking me on date?"

-- begin --
# 1
Density functional theory data (wB97M-V/def2-TZVPD) for a structure of composition C17H21CoN7O7S.

Element x y z (Å)
1 Co 1.27 0.51 0.07
2 O -1.43 3.15 1.48
3 C -0.66 2.18 0.80
4 O 0.60 2.15 1.29
5 C -1.26 0.78 0.91
6 C -2.46 0.43 1.51
7 C -2.67 -0.95 1.77
8 C -1.88 -1.87 1.18
9 C -0.83 -1.45 0.21
10 N -0.40 -0.11 0.46
11 C 0.50 -2.31 0.21
12 O 0.44 -3.51 0.46
13 O 1.50 -1.64 -0.15
14 H -0.76 3.71 1.89
15 H -3.11 1.20 1.91
16 H -3.44 -1.24 2.46
17 H -1.98 -2.93 1.37
18 N 0.06 3.30 -3.30
19 C -0.73 3.91 -2.49
20 N -1.29 5.17 -2.83
21 N -1.11 3.50 -1.27
22 C -0.52 2.45 -0.72
23 N 0.29 1.61 -1.28
24 H 0.26 3.84 -4.14
25 H 0.52 1.87 -2.24
26 H -1.48 5.27 -3.81
27 H -2.07 5.39 -2.24
28 O 5.10 1.62 -1.30
29 S 3.99 1.93 -0.37
30 N 2.78 1.07 -0.57
31 O 4.49 1.06 1.75
32 C 3.62 0.43 2.35
33 C 3.90 -0.01 3.81
34 C 2.61 -0.68 4.22
35 C 1.74 -0.59 2.94
36 O 0.62 -1.05 2.89
37 N 2.41 0.05 1.95
38 H 4.16 0.87 4.40
39 H 4.76 -0.68 3.80
40 H 2.09 -0.18 5.03
41 H 2.73 -1.73 4.48
42 C -0.59 -3.55 -2.58
43 C -1.72 -2.95 -1.74
44 C -3.01 -2.95 -2.56
45 C -1.37 -1.54 -1.26
46 H -0.85 -4.56 -2.90
47 H 0.32 -3.59 -2.00
48 H -0.43 -2.94 -3.47
49 H -1.87 -3.60 -0.87
50 H -2.90 -2.30 -3.44
51 H -3.85 -2.58 -1.98
52 H -3.25 -3.95 -2.92
53 H -2.26 -0.90 -1.29
54 H -0.61 -1.09 -1.90

Properties
Spin multiplicity: 4
Kohn-Sham gap (spin up / spin down): 7.1 / 6.5 eV
HOMO energy (spin up / spin down): -0.08126 / -0.08606 Ha
LUMO level (spin up / spin down): 4.87 / 4.14 eV
Net charge: -2

# 2
Density functional theory data (wB97M-V/def2-TZVPD) for a structure of composition C17H21CrN8O2S5Se.

Element x y z (Å)
1 Cr 10.31 11.54 9.62
2 C 8.06 15.19 9.42
3 C 9.04 14.11 9.33
4 N 9.15 13.14 10.17
5 N 8.23 13.09 11.20
6 C 8.38 12.01 11.90
7 N 7.47 11.82 12.87
8 S 9.56 10.71 11.75
9 C 9.96 14.11 8.22
10 C 10.12 15.19 7.37
11 C 10.99 15.05 6.31
12 C 11.70 13.86 6.14
13 C 11.50 12.82 7.05
14 N 10.64 13.00 8.04
15 H 7.43 15.16 10.30
16 H 7.41 15.13 8.52
17 H 8.57 16.16 9.37
18 H 6.65 12.42 12.84
19 H 7.37 10.89 13.23
20 H 9.58 16.12 7.49
21 H 11.16 15.86 5.60
22 H 12.42 13.73 5.33
23 H 12.03 11.88 6.99
24 O 8.03 5.34 9.69
25 C 8.45 6.43 9.42
26 S 10.16 6.82 9.27
27 C 9.96 8.55 8.92
28 C 8.72 9.03 8.88
29 S 8.29 10.72 8.72
30 S 7.42 7.89 9.19
31 S 11.41 9.50 8.88
32 N 12.71 11.18 12.07
33 C 12.98 11.65 10.84
34 N 14.23 11.52 10.35
35 O 12.11 12.22 10.16
36 H 13.41 10.67 12.61
37 H 11.74 11.19 12.36
38 H 14.95 11.05 10.84
39 H 14.34 11.75 9.38
40 C 6.66 12.71 5.98
41 N 6.84 11.28 5.81
42 C 5.93 10.35 6.25
43 C 6.52 9.13 6.14
44 N 7.80 9.35 5.69
45 C 8.81 8.30 5.51
46 C 8.01 10.68 5.51
47 Se 9.55 11.47 4.89
48 H 5.59 12.90 5.95
49 H 7.14 13.28 5.16
50 H 7.06 13.05 6.93
51 H 4.93 10.64 6.54
52 H 6.15 8.16 6.40
53 H 8.41 7.40 5.99
54 H 9.75 8.56 6.01
55 H 9.04 8.11 4.45

Properties
Spin multiplicity: 4
Energy above the lowest of the compared OMol25 structures with the same formula, charge and spin: 0.00 kcal per mole
Kohn-Sham gap (spin up / spin down): 6.2 / 6.1 eV
-- stop --

"Yes, yes I am"

The two teens locked eyes for a while. Lucien could also feel the gaze of the students in the surrounding rooms, Lucien took this moment to make his move.

Easing his way closer to Padma, he stop just shy of her lips

"Lucien, I..."

Quantum chemistry results, as found in the file:
........
Here is a cluster of 2 separate species, C3H5Cl in total at a distorted geometry from the OMol25 dataset. Energies are from ωB97M-V/def2-TZVPD.

```
9
C3H5Cl, DFT ωB97M-V/def2-TZVPD
C -0.423 0.533 0.593
C -0.321 -0.919 0.220
C 0.717 0.028 -0.219
Cl 2.406 -0.009 -0.057
H -1.093 0.993 -0.010
H -0.228 1.068 1.551
H 0.069 -1.723 0.779
H -1.085 -1.129 -0.470
H -0.043 1.158 -2.387
```

Energy relative to the best compared isomer or geometry (same formula, charge and spin), kcal per mole: 124.2
Highest occupied orbital energy (spin up / spin down), eV: -10.1 / -8.2
Frontier orbital gap (spin up / spin down), eV: 10.22 / 7.74
Spin multiplicity: 1
LUMO (spin up / spin down), eV: 0.1 / -0.4

---

Here is the molecule C6H10O from the OMol25 dataset. Energies are from ωB97M-V/def2-TZVPD.

```
17
C6H10O, DFT ωB97M-V/def2-TZVPD
C -1.659 -1.082 0.581
C -0.322 -0.643 0.150
C 0.712 -0.281 1.070
C 0.610 1.298 0.411
C 0.999 0.882 -1.045
C 0.077 -0.337 -1.259
O -0.644 1.634 0.542
H -2.336 -1.293 -0.250
H -2.027 -0.209 1.144
H -1.610 -1.932 1.271
H 1.711 -0.662 0.843
H 0.457 -0.334 2.128
H 1.382 1.967 0.857
H 2.062 0.625 -1.131
H 0.778 1.698 -1.740
H -0.800 -0.137 -1.878
H 0.610 -1.193 -1.696
```

Energy relative to the best compared isomer or geometry (same formula, charge and spin), kcal per mole: 66.8
Highest occupied orbital energy (spin up / spin down), eV: -8.0 / -8.0
Frontier orbital gap (spin up / spin down), eV: 7.60 / 7.60
Spin multiplicity: 1
LUMO (spin up / spin down), eV: -0.4 / -0.4

---

Here is a cluster of 6 separate species, C6H16Cl4N4O8 in total at a distorted geometry from the OMol25 dataset. Energies are from ωB97M-V/def2-TZVPD.

```
38
C6H16Cl4N4O8, DFT ωB97M-V/def2-TZVPD
C -1.096 -2.250 2.312
N 0.273 -2.830 2.198
O 0.537 -3.280 1.099
O 1.026 -2.876 3.156
H -1.209 -1.717 3.255
H -1.843 -3.035 2.431
H -1.309 -1.761 1.361
C 1.098 -0.043 -0.422
N -0.384 -0.251 -0.419
O -0.914 -0.504 0.659
O -0.967 -0.136 -1.497
H 1.557 -0.798 0.216
H 1.184 0.969 -0.025
H 1.551 -0.175 -1.405
C 1.798 3.611 1.169
N 1.344 2.346 1.789
O 0.591 1.618 1.158
O 1.805 2.062 2.865
H 0.937 3.954 0.595
H 2.619 3.353 0.501
H 2.094 4.357 1.907
C -0.813 -1.586 -3.357
N -1.550 -0.472 -3.940
O -1.186 0.683 -3.668
O -2.413 -0.732 -4.734
H -0.051 -1.202 -2.680
H -0.388 -2.090 -4.225
H -1.458 -2.258 -2.791
C -2.755 1.704 -1.855
Cl -1.845 3.012 -2.677
Cl -4.397 2.121 -1.444
H -2.750 0.887 -2.576
H -2.203 1.338 -0.989
C 2.054 -0.858 2.353
Cl 3.523 -0.807 1.376
Cl 2.495 -0.175 3.965
H 1.235 -0.262 1.950
H 1.811 -1.920 2.391
```

Energy relative to the best compared isomer or geometry (same formula, charge and spin), kcal per mole: 123.5
Highest occupied orbital energy, eV: -10.2
Frontier orbital gap, eV: 9.40
SMILES string: C[N+](=O)[O-].C[N+](=O)[O-].C[N+](=O)[O-].C[N+](=O)[O-].ClCCl.ClCCl
Spin multiplicity: 1
LUMO, eV: -0.8

---

Here is a cluster of 10 separate species, C14H48O10 in total at a distorted geometry from the OMol25 dataset. Energies are from ωB97M-V/def2-TZVPD.

```
72
........
The entry goes on:

Lucien stopped her, closing the gap between them, Lucien planted a soft kiss on her bottom lip. There was no need to wait for a reaction, as Lucien pulled away from the kiss, Padma followed to return the favor. Inducing a series of small pecks between the two of them, until finally falling into a lingering embrace that seem to take over their emotions.

Inviting Lucien in, Padma received his tongue wantonly, allowing her carnal desires to take the lead.